Contents >
'''
Compound: FeW2O8
Source: Alexandria via LeMat-Bulk
Functional: PBE with a Hubbard U
Structure: optimized geometry

Values from the calculation:
Total moment (μB per formula unit): 6.1
Volume (A^3/atom): 12.71
ΔE to the lowest computed polymorph (meV per atom): 24
SG: P2/c, No. 13
Raw total energy (eV/atom): -7.034
DOS at the Fermi energy (states/eV/f.u.): 5.9

Cell lengths 5.0745, 5.8356, 10.6836 Å; angles 90.00, 117.91, 90.00 degrees
Positions (direct):
Fe 0.0000 0.1559 0.2500
Fe 0.0000 0.8441 0.7500
W 0.2447 0.3264 0.9967
W 0.2447 0.6736 0.4967
W 0.7553 0.3264 0.5033
W 0.7553 0.6736 0.0033
O 0.1684 0.3956 0.6081
O 0.1684 0.6044 0.1081
O 0.2191 0.1583 0.1364
O 0.2191 0.8417 0.6364
O 0.2453 0.0995 0.8805
O 0.2453 0.9005 0.3805
O 0.3159 0.3910 0.3930
O 0.3159 0.6090 0.8930
O 0.6841 0.3910 0.1070
O 0.6841 0.6090 0.6070
O 0.7547 0.0995 0.6195
O 0.7547 0.9005 0.1195
O 0.7809 0.1583 0.3636
O 0.7809 0.8417 0.8636
O 0.8316 0.3956 0.8919
O 0.8316 0.6044 0.3919


! Ta2RuBr, optimized geometry, DFT PBE-GGA; values from VASP
&SYSTEM
  ibrav = 0, nat = 4, ntyp = 3
/
ATOMIC_SPECIES
Ru 101.07 Ru.upf
Ta 180.95 Ta.upf
Br 79.90 Br.upf
ATOMIC_POSITIONS crystal
Ru 0.5000 0.5000 0.7500
Ta 0.0000 0.0000 0.9844
Ta 0.0000 0.0000 0.5156
Br 0.5000 0.5000 0.2500
CELL_PARAMETERS angstrom
-0.4404 -1.0977 -2.7947
1.5974 -2.4769 0.7212
-6.1625 -3.3127 2.2723
! Formation energy from raw total energies (meV/atom): 139



! TaRu2Br, optimized geometry, DFT PBE-GGA; values from VASP
&SYSTEM
  ibrav = 0, nat = 4, ntyp = 3
/
ATOMIC_SPECIES
Br 79.90 Br.upf
Ru 101.07 Ru.upf
Ta 180.95 Ta.upf
ATOMIC_POSITIONS crystal
Br 0.2500 0.2500 0.2500
Ru 0.4813 0.4813 0.5408
Ru 0.0187 0.0187 0.9592
Ta 0.7500 0.7500 0.7500
CELL_PARAMETERS angstrom
4.6691 -0.0055 -0.0061
3.6440 2.9192 -0.0061
0.9411 0.3298 5.0311
! Formation energy from raw total energies (meV/atom): 428



! Ta2RuBr, optimized geometry, DFT PBE-GGA; values from VASP
&SYSTEM
  ibrav = 0, nat = 4, ntyp = 3
/
ATOMIC_SPECIES
Br 79.90 Br.upf
Ta 180.95 Ta.upf
Ru 101.07 Ru.upf
ATOMIC_POSITIONS crystal
Br 0.5015 0.5015 0.5507
Ta 0.7592 0.7592 0.6883
Ta 0.9851 0.9851 0.0692
Ru 0.2542 0.2542 0.1919
CELL_PARAMETERS angstrom
-0.1020 -3.5293 -3.4322
1.9563 -1.4251 -4.2882
3.6716 -3.0497 1.3316
! Formation energy from raw total energies (meV/atom): 371



| no. | energy above the most stable polymorph in this dataset (meV per atom) | calculated total energy (eV per atom) |
| --- | --- | --- |
| 1 | 101 | -8.5242 |
| 2 | 366 | -7.5913 |
| 3 | 333 | -8.2923 |


This record from the Alexandria database describes an optimized crystal structure of Ta4NbH10. The functional is PBE.

The space group is I4/m (No. 87) and the conventional cell measures 7.164, 7.164 and 4.533 Å, with angles of 90.00, 90.00 and 90.00 degrees. The inequivalent atoms are Ta at (0.100, 0.300, 0.000), Nb at (0.000, 0.000, 0.500), H at (0.000, 0.500, 0.250) and H at (0.101, 0.798, 0.248).

The calculated density is 11.80 Mg/m³. For the total energy, the calculation gives -6.220 eV per atom.



This record from the Alexandria database describes an optimized crystal structure of TaNb2H. The functional is PBE.

The space group is Fd-3m (No. 227, origin choice 2) and the conventional cell measures 7.986, 7.986 and 7.986 Å, with angles of 90.00, 90.00 and 90.00 degrees. The inequivalent atoms are Ta at (0.125, 0.125, 0.125), Nb at (0.000, 0.000, 0.500) and H at (0.125, 0.125, 0.625).

The calculated density is 9.59 Mg/m³. For the total energy, the calculation gives -8.534 eV per atom. As for the energy above the most stable polymorph in this dataset: 30 meV per atom.



This record from the Alexandria database describes an optimized crystal structure of Ta2Nb2H5. The functional is PBE.
'''

To do >
It remains to reproduce the part of the material earlier on that starts with the line with "0.1364" and stops after the one with "0.3805".

Here it is >
O 0.2191 0.1583 0.1364
O 0.2191 0.8417 0.6364
O 0.2453 0.0995 0.8805
O 0.2453 0.9005 0.3805